[Listing]
~~~
The following is a PBE with a Hubbard U calculation of MoPNCl6O after structural relaxation, from the Materials Project.

POSCAR file:
```
MoPNCl6O
1.0
15.139 0.000 0.000
0.000 12.075 0.000
0.000 6.781 12.176
O Cl N P Mo
8 48 8 8 8
direct
0.714 0.188 0.989 O
0.786 0.188 0.489 O
0.662 0.640 0.599 O
0.214 0.812 0.511 O
0.286 0.812 0.011 O
0.162 0.360 0.901 O
0.338 0.360 0.401 O
0.838 0.640 0.099 O
0.033 0.550 0.102 Cl
0.467 0.550 0.602 Cl
0.787 0.673 0.425 Cl
0.096 0.595 0.590 Cl
0.027 0.296 0.759 Cl
0.808 0.110 0.829 Cl
0.341 0.995 0.311 Cl
0.663 0.541 0.179 Cl
0.806 0.899 0.564 Cl
0.458 0.868 0.899 Cl
0.904 0.405 0.410 Cl
0.841 0.005 0.189 Cl
0.958 0.132 0.601 Cl
0.337 0.459 0.821 Cl
0.308 0.890 0.671 Cl
0.287 0.327 0.075 Cl
0.205 0.594 0.907 Cl
0.943 0.807 0.877 Cl
0.692 0.110 0.329 Cl
0.557 0.807 0.377 Cl
0.213 0.327 0.575 Cl
0.295 0.594 0.407 Cl
0.057 0.193 0.123 Cl
0.443 0.193 0.623 Cl
0.194 0.101 0.436 Cl
0.042 0.868 0.399 Cl
0.837 0.541 0.679 Cl
0.533 0.450 0.398 Cl
0.404 0.595 0.090 Cl
0.159 0.995 0.811 Cl
0.564 0.183 0.856 Cl
0.064 0.817 0.644 Cl
0.694 0.899 0.064 Cl
0.659 0.005 0.689 Cl
0.936 0.183 0.356 Cl
0.192 0.890 0.171 Cl
0.527 0.704 0.741 Cl
0.473 0.296 0.259 Cl
0.973 0.704 0.241 Cl
0.713 0.673 0.925 Cl
0.795 0.406 0.093 Cl
0.967 0.450 0.898 Cl
0.436 0.817 0.144 Cl
0.542 0.132 0.101 Cl
0.596 0.405 0.910 Cl
0.306 0.101 0.936 Cl
0.705 0.406 0.593 Cl
0.163 0.459 0.321 Cl
0.896 0.899 0.035 N
0.396 0.101 0.465 N
0.104 0.101 0.965 N
0.922 0.162 0.974 N
0.422 0.838 0.526 N
0.604 0.899 0.535 N
0.578 0.162 0.474 N
0.078 0.838 0.026 N
0.736 0.575 0.576 P
0.764 0.575 0.076 P
0.236 0.425 0.924 P
0.264 0.425 0.424 P
0.882 0.220 0.468 P
0.382 0.780 0.032 P
0.618 0.220 0.968 P
0.118 0.780 0.532 P
0.984 0.751 0.057 Mo
0.016 0.249 0.943 Mo
0.484 0.249 0.443 Mo
0.175 0.984 0.982 Mo
0.675 0.016 0.518 Mo
0.516 0.751 0.557 Mo
0.325 0.984 0.482 Mo
0.825 0.016 0.018 Mo
```

* calculated density: 2.21 g/cm3
* magnetic moment: 0.0 μB per formula unit
* energy of formation from the pure elements: -0.7705 eV per atom

The following is a PBE with a Hubbard U calculation of SmMoClO4 after structural relaxation, from the Materials Project.

POSCAR file:
```
SmMoClO4
1.0
3.738 5.235 0.000
-3.738 5.235 0.000
0.000 2.027 6.707
O Mo Sm Cl
8 2 2 2
direct
0.490 0.116 0.151 O
0.293 0.293 0.531 O
0.510 0.884 0.849 O
0.707 0.707 0.469 O
0.460 0.460 0.793 O
0.884 0.510 0.849 O
0.116 0.490 0.151 O
0.540 0.540 0.207 O
0.363 0.363 0.268 Mo
0.637 0.637 0.732 Mo
0.778 0.778 0.113 Sm
0.222 0.222 0.887 Sm
0.989 0.989 0.765 Cl
0.011 0.011 0.235 Cl
```

* calculated density: 4.37 g/cm3
* magnetic moment: 0.0 μB per formula unit
* energy of formation from the pure elements: -2.5935 eV per atom

The following is a PBE with a Hubbard U calculation of Ba2Y2MgFe4O10 after structural relaxation, from the Materials Project.

POSCAR file:
```
Ba2Y2MgFe4O10
1.0
-1.957 -2.679 -1.838
1.689 -6.436 7.580
-6.454 2.342 3.459
O Ba Fe Y Mg
10 2 4 2 1
direct
0.500 0.581 0.498 O
0.000 0.739 0.735 O
0.000 0.369 0.772 O
0.500 0.001 0.269 O
0.500 0.230 0.026 O
0.000 0.442 0.190 O
0.000 0.744 0.255 O
0.500 0.297 0.476 O
0.500 0.041 0.740 O
0.500 0.710 0.991 O
0.000 0.954 0.002 Ba
0.000 0.959 0.519 Ba
0.500 0.189 0.271 Fe
0.500 0.237 0.742 Fe
0.500 0.699 0.705 Fe
0.500 0.714 0.304 Fe
0.000 0.440 0.482 Y
0.000 0.608 0.011 Y
0.000 0.306 0.014 Mg
```

* calculated density: 4.86 g/cm3
* magnetic moment: 16.0 μB per formula unit
* energy of formation from the pure elements: -2.4226 eV per atom

The following is a PBE with a Hubbard U calculation of MgFeSb4O12 after structural relaxation, from the Materials Project.

POSCAR file:
```
MgFeSb4O12
1.0
5.526 -0.160 -0.089
5.956 9.078 -0.172
5.975 6.083 4.202
O Sb Mg Fe
12 4 1 1
direct
0.362 0.805 0.121 O
0.099 0.823 0.725 O
0.853 0.707 0.211 O
0.643 0.199 0.838 O
0.690 0.880 0.360 O
0.218 0.632 0.606 O
0.147 0.267 0.797 O
0.335 0.289 0.124 O
0.750 0.367 0.366 O
0.280 0.112 0.623 O
0.623 0.713 0.845 O
0.845 0.176 0.263 O
0.979 0.503 0.982 Sb
~~~
[Work order]
Next, repeat everything earlier on character by character.
[Done]
The following is a PBE with a Hubbard U calculation of MoPNCl6O after structural relaxation, from the Materials Project.

POSCAR file:
```
MoPNCl6O
1.0
15.139 0.000 0.000
0.000 12.075 0.000
0.000 6.781 12.176
O Cl N P Mo
8 48 8 8 8
direct
0.714 0.188 0.989 O
0.786 0.188 0.489 O
0.662 0.640 0.599 O
0.214 0.812 0.511 O
0.286 0.812 0.011 O
0.162 0.360 0.901 O
0.338 0.360 0.401 O
0.838 0.640 0.099 O
0.033 0.550 0.102 Cl
0.467 0.550 0.602 Cl
0.787 0.673 0.425 Cl
0.096 0.595 0.590 Cl
0.027 0.296 0.759 Cl
0.808 0.110 0.829 Cl
0.341 0.995 0.311 Cl
0.663 0.541 0.179 Cl
0.806 0.899 0.564 Cl
0.458 0.868 0.899 Cl
0.904 0.405 0.410 Cl
0.841 0.005 0.189 Cl
0.958 0.132 0.601 Cl
0.337 0.459 0.821 Cl
0.308 0.890 0.671 Cl
0.287 0.327 0.075 Cl
0.205 0.594 0.907 Cl
0.943 0.807 0.877 Cl
0.692 0.110 0.329 Cl
0.557 0.807 0.377 Cl
0.213 0.327 0.575 Cl
0.295 0.594 0.407 Cl
0.057 0.193 0.123 Cl
0.443 0.193 0.623 Cl
0.194 0.101 0.436 Cl
0.042 0.868 0.399 Cl
0.837 0.541 0.679 Cl
0.533 0.450 0.398 Cl
0.404 0.595 0.090 Cl
0.159 0.995 0.811 Cl
0.564 0.183 0.856 Cl
0.064 0.817 0.644 Cl
0.694 0.899 0.064 Cl
0.659 0.005 0.689 Cl
0.936 0.183 0.356 Cl
0.192 0.890 0.171 Cl
0.527 0.704 0.741 Cl
0.473 0.296 0.259 Cl
0.973 0.704 0.241 Cl
0.713 0.673 0.925 Cl
0.795 0.406 0.093 Cl
0.967 0.450 0.898 Cl
0.436 0.817 0.144 Cl
0.542 0.132 0.101 Cl
0.596 0.405 0.910 Cl
0.306 0.101 0.936 Cl
0.705 0.406 0.593 Cl
0.163 0.459 0.321 Cl
0.896 0.899 0.035 N
0.396 0.101 0.465 N
0.104 0.101 0.965 N
0.922 0.162 0.974 N
0.422 0.838 0.526 N
0.604 0.899 0.535 N
0.578 0.162 0.474 N
0.078 0.838 0.026 N
0.736 0.575 0.576 P
0.764 0.575 0.076 P
0.236 0.425 0.924 P
0.264 0.425 0.424 P
0.882 0.220 0.468 P
0.382 0.780 0.032 P
0.618 0.220 0.968 P
0.118 0.780 0.532 P
0.984 0.751 0.057 Mo
0.016 0.249 0.943 Mo
0.484 0.249 0.443 Mo
0.175 0.984 0.982 Mo
0.675 0.016 0.518 Mo
0.516 0.751 0.557 Mo
0.325 0.984 0.482 Mo
0.825 0.016 0.018 Mo
```

* calculated density: 2.21 g/cm3
* magnetic moment: 0.0 μB per formula unit
* energy of formation from the pure elements: -0.7705 eV per atom

The following is a PBE with a Hubbard U calculation of SmMoClO4 after structural relaxation, from the Materials Project.

POSCAR file:
```
SmMoClO4
1.0
3.738 5.235 0.000
-3.738 5.235 0.000
0.000 2.027 6.707
O Mo Sm Cl
8 2 2 2
direct
0.490 0.116 0.151 O
0.293 0.293 0.531 O
0.510 0.884 0.849 O
0.707 0.707 0.469 O
0.460 0.460 0.793 O
0.884 0.510 0.849 O
0.116 0.490 0.151 O
0.540 0.540 0.207 O
0.363 0.363 0.268 Mo
0.637 0.637 0.732 Mo
0.778 0.778 0.113 Sm
0.222 0.222 0.887 Sm
0.989 0.989 0.765 Cl
0.011 0.011 0.235 Cl
```

* calculated density: 4.37 g/cm3
* magnetic moment: 0.0 μB per formula unit
* energy of formation from the pure elements: -2.5935 eV per atom

The following is a PBE with a Hubbard U calculation of Ba2Y2MgFe4O10 after structural relaxation, from the Materials Project.

POSCAR file:
```
Ba2Y2MgFe4O10
1.0
-1.957 -2.679 -1.838
1.689 -6.436 7.580
-6.454 2.342 3.459
O Ba Fe Y Mg
10 2 4 2 1
direct
0.500 0.581 0.498 O
0.000 0.739 0.735 O
0.000 0.369 0.772 O
0.500 0.001 0.269 O
0.500 0.230 0.026 O
0.000 0.442 0.190 O
0.000 0.744 0.255 O
0.500 0.297 0.476 O
0.500 0.041 0.740 O
0.500 0.710 0.991 O
0.000 0.954 0.002 Ba
0.000 0.959 0.519 Ba
0.500 0.189 0.271 Fe
0.500 0.237 0.742 Fe
0.500 0.699 0.705 Fe
0.500 0.714 0.304 Fe
0.000 0.440 0.482 Y
0.000 0.608 0.011 Y
0.000 0.306 0.014 Mg
```

* calculated density: 4.86 g/cm3
* magnetic moment: 16.0 μB per formula unit
* energy of formation from the pure elements: -2.4226 eV per atom

The following is a PBE with a Hubbard U calculation of MgFeSb4O12 after structural relaxation, from the Materials Project.

POSCAR file:
```
MgFeSb4O12
1.0
5.526 -0.160 -0.089
5.956 9.078 -0.172
5.975 6.083 4.202
O Sb Mg Fe
12 4 1 1
direct
0.362 0.805 0.121 O
0.099 0.823 0.725 O
0.853 0.707 0.211 O
0.643 0.199 0.838 O
0.690 0.880 0.360 O
0.218 0.632 0.606 O
0.147 0.267 0.797 O
0.335 0.289 0.124 O
0.750 0.367 0.366 O
0.280 0.112 0.623 O
0.623 0.713 0.845 O
0.845 0.176 0.263 O
0.979 0.503 0.982 Sb